Ringing delay: the maximum number of ring before automatic answering is 5.
Ringer Equivalent Number (REN) = 1
The REN is a custumer guide indicating appoximately the maximum number of items of apparatus that
should be connected simultaneously to the line.
The sum of the REN’s of the individual items should be not exceed 4. The REN value of a BT telephone is
assumed to be 1 unless otherwise marked.
The voltage drop introduced by the apparatus between the PSTN and the associated telephone is 2.0 Volts
dc therefore no additional series equipment may be connected.The introduction of this voltage drop may
occasionally cause difficulties in making calls from the associated telephone or problems in telephone
conversation being experienced by both parties to the call.
While operation may be possible initially, change to or modernization of the network taking place in the
normal course of events may result in the apparatus being connected to be compatible. failure of the
apparatus to wok under these circumstances may not be responsibility of the network operator.
In the unlikely event of such problems occuring, the user should contact the supplier or maintainer of the
Difficulty may be experienced when making calls from other apparatus. such difficulties may include:
Here the piece breaks off for crystal structures.
Entry 1:
## Li3Fe2P3O12 (PBE with a Hubbard U)

Data for a relaxed Li3Fe2P3O12 crystal.

```
80
Lattice="-4.529 1.343 7.368 -7.385 -2.291 -4.122 1.799 -11.590 3.218" Properties=species:S:1:pos:R:3 pbc="T T T"
O -5.850 -12.529 0.765
O -5.088 -8.762 1.798
O -2.592 -11.229 3.552
O -7.066 -10.095 6.027
Fe -7.000 -8.243 2.340
O -3.683 -4.682 -0.439
O -5.514 -6.471 6.109
O -0.850 -10.356 5.550
Fe -1.364 -1.690 -0.425
Li -6.408 -9.296 7.608
Fe -2.860 -10.291 5.373
O -4.665 -10.027 -0.390
Li -6.282 -10.115 -1.475
Li -7.763 -2.040 5.453
O -7.320 -5.261 4.778
P -9.917 -2.535 3.260
O -9.900 -10.450 5.244
P -5.254 -1.651 3.771
O -7.944 -9.620 1.169
O -5.017 -0.269 3.187
O -5.990 -12.005 4.728
O -6.756 -4.271 0.967
P -1.350 0.400 2.196
P -4.611 -0.873 -0.568
O -3.609 -10.432 9.063
O -3.894 -2.359 4.091
P -2.711 -4.724 7.484
O -5.953 -1.583 5.161
O -6.107 -2.501 2.800
O -2.714 -9.133 7.064
Fe -8.978 -4.845 5.655
Li -8.438 -9.077 4.823
O -1.546 -0.816 1.276
O -9.030 -2.923 2.049
Li -8.186 -11.030 2.516
O -2.019 -6.076 0.882
O -10.069 -5.752 4.267
O -2.199 -6.010 3.918
Fe -7.306 -2.233 1.172
Fe -4.313 -12.164 -0.329
P -6.169 -10.500 4.821
O -1.487 -3.686 0.408
P -7.270 -5.561 0.241
P -1.537 -7.366 4.094
O -2.750 -8.949 0.912
O -8.745 -7.763 3.337
O -4.954 -5.019 4.081
P -2.640 -4.687 0.734
Fe -5.574 -6.378 8.027
O -8.382 -2.444 -0.522
O -6.967 -9.958 3.587
O -3.398 -4.259 2.016
O -4.452 -7.543 -0.346
O -2.613 -8.488 4.283
Li -2.224 -1.421 4.429
O -3.324 -1.729 -0.739
O -5.694 -1.852 -0.064
Li -1.863 -9.593 2.644
Li -4.448 -8.364 3.649
O -9.249 -2.971 4.603
O -3.897 -0.996 7.211
Li 0.223 -3.625 1.341
O -6.044 -7.258 3.819
P -3.418 -9.049 8.442
O -3.199 -4.233 6.103
O -4.829 -8.393 8.307
Fe -3.064 -4.311 4.042
O -3.123 -11.897 1.237
O -7.024 -6.793 1.095
P -4.255 -8.806 0.492
O -3.714 -5.699 8.164
O -1.387 -3.151 4.020
O -6.431 -5.585 -1.070
Li -5.372 -4.263 2.334
Li -4.428 -2.646 6.116
O -10.150 -1.026 3.329
O -0.780 -7.814 2.810
O -4.792 -9.805 4.939
Li -5.501 -3.761 -0.656
P -5.972 -5.998 4.720
```

Space group: P2_12_12, No. 18
V: 932.76 Å³/cell
DFT total energy: -6.779 eV per atom
ΔH_f (0 K): -2.503 eV per atom

***

Entry 2:
## LiFePO4 (PBE with a Hubbard U)

Data for a relaxed LiFePO4 crystal.

```
56
Lattice="5.110 0.000 0.000 0.000 10.185 0.000 0.000 0.000 13.735" Properties=species:S:1:pos:R:3 pbc="T T T"
O 2.491 3.239 1.716
O 4.760 2.257 3.833
O 0.055 9.509 5.131
O 0.691 10.181 8.522
O 2.879 9.904 7.293
Li 2.304 7.940 10.299
O 0.350 7.350 3.833
Fe 0.303 0.347 3.398
O 0.691 5.097 1.654
P 4.857 7.984 5.114
Fe 2.841 2.903 6.858
Li 4.746 4.781 13.703
O 5.055 0.677 11.999
P 4.857 7.294 11.981
O 4.725 2.259 6.388
O 2.806 5.425 2.981
O 0.350 7.928 10.700
P 2.892 5.419 8.566
O 1.790 2.628 5.124
O 2.806 9.853 9.848
P 2.218 0.326 8.566
Fe 0.303 4.746 10.265
P 0.253 2.202 11.981
O 2.620 8.331 1.716
O 2.304 4.760 9.848
O 4.419 5.089 8.522
O 2.231 4.811 7.293
O 2.879 5.374 0.426
O 0.385 7.352 6.388
O 0.385 7.926 13.256
O 3.321 7.721 5.124
Fe 2.269 7.995 6.858
- Difficulties in making call
- Problems in telephone conversation being experienced by both parties to the call.
Note : The definition of RBS (Relevant branch system) for PSTN lines is given in BS6789 section 6.1
(1986) clause 2.4.
Naive caller
"Callers are accustomed to being answered normally within 10s and that the majority abandon calls that are
not answeed within 45 s".
It is "normal" to set the number of rings beetween 1 to 5 rings before the answering machine responds.
The machine is already preset for a plug and play mode.
"If the intention is to delay answer so that normal voice callers would abandon the call before the non-voice
TE answered, then the delay should at least 45 s".
It is helpful to include the statement of the answering telephone number with the exchange name or
international code and that the announcement must be sutable for the purpose for which it is intented. The
announcement should also start within 3s of answering.
Paytone may be received after answering calls from some types of payphones and may persist forr up to 13 s
and the answering announcement should be constructed so as to ensure that an answering announcement
containing the identity of the called line and, where appropriate, the invitation to record, will be heard by the
callers after paytone has ceased.
IMPORTANT ! Compatible switchboards
Your terminal is approved only for use with the compatible switchboard including those which do not
provide secondary proceed indication. If you would like a list suitable switchboards, contact BT on 0800 800
Liasse 23227796-2A.book Page 25 Mardi, 15. juin 1999 8:44 08